UK TV Producers Shackle Evander Holyfield To A Chair For Speaking His Mind!

Calculated crystals, kept here for reference:
! PBE KYRe, relaxed; values from VASP
&SYSTEM
  ibrav = 0, nat = 3, ntyp = 3
/
ATOMIC_SPECIES
K 39.10 K.upf
Re 186.21 Re.upf
Y 88.91 Y.upf
CELL_PARAMETERS angstrom
5.372 0.000 0.000
-2.686 4.652 0.000
0.000 0.000 2.777
ATOMIC_POSITIONS crystal
K 0.000 0.000 0.831
Re 0.667 0.333 0.334
Y 0.333 0.667 0.835
! formation energy from the elements	336	kJ/mol of formula units
! density of states at the Fermi level	2.6	states/eV/cell
! total energy	-16.530	eV/f.u.
! size of the total moment	0.00	μB per formula unit
! symmetry	P3m1 (156)
! energy above the most stable polymorph in this dataset	0.197	eV/atom

=====

! PBE Ca2Cu4As3Pd, relaxed; values from VASP
&SYSTEM
  ibrav = 0, nat = 10, ntyp = 4
/
ATOMIC_SPECIES
Ca 40.08 Ca.upf
Cu 63.55 Cu.upf
As 74.92 As.upf
Pd 106.42 Pd.upf
CELL_PARAMETERS angstrom
-2.166 -3.522 -0.373
3.522 -2.095 -0.666
0.936 -1.648 10.131
ATOMIC_POSITIONS crystal
Ca 0.500 0.000 0.249
Ca 0.000 0.500 0.751
Cu 0.500 0.500 0.000
Cu 0.000 0.000 0.000
Cu 0.500 0.000 0.637
Cu 0.000 0.500 0.363
As 0.000 0.000 0.500
As 0.500 0.000 0.865
As 0.000 0.500 0.135
Pd 0.500 0.500 0.500
! formation energy from the elements	-491	kJ/mol of formula units
! density of states at the Fermi level	4.5	states/eV/cell
! total energy	-44.619	eV/f.u.
! size of the total moment	0.00	μB per formula unit
! symmetry	P-4m2 (115)

~~~~~

# 1
First-principles (PBE) data for a relaxed Ce2PuRu3 crystal, as listed in Alexandria via LeMat-Bulk.

abc: 6.0515 6.0515 8.9243
angles: 112.78 112.78 54.43
Fractional positions:
Ce 0.0263 0.3061 0.0830
Ce 0.3061 0.0263 0.5830
Ce 0.6939 0.9737 0.4170
Ce 0.9737 0.6939 0.9170
Pu 0.3351 0.6649 0.7500
Pu 0.6649 0.3351 0.2500
Ru 0.1706 0.5096 0.4228
Ru 0.1820 0.8180 0.2500
Ru 0.4904 0.8294 0.0772
Ru 0.5096 0.1706 0.9228
Ru 0.8180 0.1820 0.7500
Ru 0.8294 0.4904 0.5772

Output
Symmetry: C2/c
Total magnetic moment (μB per cell): 8.9
DOS(E_F) (states/eV per cell): 16.22

# 2
First-principles (PBE) data for a relaxed ZnHgTe2 crystal, as listed in Alexandria via LeMat-Bulk.

abc: 5.2419 5.2419 5.2419
angles: 60.00 60.00 60.00
Fractional positions:
Zn 0.0000 0.0000 0.0000
Hg 0.5000 0.5000 0.5000
Te 0.2500 0.2500 0.2500
Te 0.7500 0.7500 0.7500

Output
Symmetry: Fm-3m
Total magnetic moment (μB per cell): 0.0
DOS(E_F) (states/eV per cell): 2.55
Raw formation energy (kcal/mol of atoms): 5.7

# 3
First-principles (PBE) data for a relaxed YSc2Br6 crystal, as listed in Alexandria via LeMat-Bulk.

abc: 8.0324 8.0324 10.4795
angles: 114.59 114.59 27.25
Fractional positions:
Y 0.0000 0.0000 0.0000
Sc 0.3214 0.3214 0.6474
Sc 0.6786 0.6786 0.3526
Br 0.0345 0.0345 0.2893
Br 0.3111 0.3111 0.3834
Br 0.3490 0.3490 0.9349
Br 0.6510 0.6510 0.0651
Br 0.6889 0.6889 0.6166
Br 0.9655 0.9655 0.7107

Output
Symmetry: C2/m
Total magnetic moment (μB per cell): 0.1
DOS(E_F) (states/eV per cell): 6.19
Raw formation energy (kcal/mol of atoms): -35.7

# 4
First-principles (PBE) data for a relaxed YTaOF2 crystal, as listed in Alexandria via LeMat-Bulk.


“The mantra of the moment is, ‘Of course I believe in free speech—BUT…’ And the “buts” are getting bigger … Even in the Land of the Free and the First Amendment, the ‘Free Speech, BUT’ group has been gaining ground.” -Mike Hume, Veteran British Journalist

HSK Exclusive – Evander Holyfield recently expressed his personal opinion of why he thinks homosexuality is wrong. Though many may not agree with the boxing icon’s stance — like anyone else — the Brother should be entitled to an opinion, right? Well that’s not how the proven censorship committee over at ‘UK Celebrity Big Brother’ see it.

“[We] must therefore warn you [Holyfield] to consider very carefully the effect expressing such views may have and the harm and offense you may cause by repeating these views inside the house.” ~ UK Celebrity Big Brother

That’s what the real story may not be Holyfield’s statement, but rather could lie in the fact that producers of the ‘reality show’ had dude shackled to a chair — while telling a grown azz Black Man (the only Black person in the Big Brother house) what he can and cannot say inside their European digs. To be sure, we’re talking about a society reported to rep ‘freedom of opinion and expression’ in its ‘European Convention on Human Rights’ — said to “mirror” that of article 19 of ‘The United Nations Universal Declaration of Human Rights.’

“Everyone has the right to freedom of opinion and expression; this right includes freedom to hold opinions without interference and to seek, receive and impart information and ideas through any media and regardless of frontiers.” ~ The United Nations Universal Declaration of Human Rights, Article 19

Here’s what Holyfield said about homosexuality, during Sunday’s broadcast:

“The Bible lets you know that’s wrong, that’s right. If you were born and your leg was turned this way, what do you do? You go to the doctor and get it fixed back right, right? You know how handicapped people are born. Now you can’t say, because they were born that way, you can’t move. It is a choice. You ain’t gay unless you’re sleeping with the opposite sex. That ain’t the way the body is made.”

Here’s what producers of the show had to say to Holyfield:

“Before you entered the Big Brother house, the rules regarding unacceptable language and behavior were explained to you. Last night, in a conversation with Louisa, you expressed the view that being gay was normal and that it could be fixed. While Big Brother understands these are the views you hold, they aren’t the views that I hope our last section of society, in expressing these views, will be extremely offensive to many people. Big Brother does not tolerate the use of offensive language.”

Is ‘UK Celebrity Big Brother’ a show that landed successful ratings after a racist queue was formed against one of the housemates? Of course … Just ask Shilpa Shetty.
